Last Friday I wanted to get away from my laptop for a while, so I printed off some CVs and started calling candidates.
I had some lovely conversations and ended the day buzzing, knowing that I’d made a positive impact to my candidates’ days, as they had to mine. How lucky I am to be able to feel that way after a long time in the job.
It’s always fascinating to speak to people. One of the qualities you need for a successful career in recruitment is a fascination for how people have shaped their careers (whether through design or accident), their ambitions and the different ways they think about work.
## What comes next are records of molecules, not part of the piece
[1]
{
  "formula": "C33H61BrF3N2O22S",
  "method": "the ωB97M-V functional and the def2-TZVPD basis",
  "elements": ["C", "C", "O", "C", "C", "C", "N", "C", "C", "O", "C", "N", "C", "C", "C", "C", "C", "S", "O", "O", "C", "F", "F", "F", "C", "Br", "H", "H", "H", "H", "H", "H", "H", "H", "H", "H", "H", "H", "H", "H", "H", "H", "H", "H", "H", "H", "H", "H", "H", "H", "H", "C", "O", "C", "O", "O", "C", "H", "H", "H", "H", "H", "H", "C", "O", "C", "O", "O", "C", "H", "H", "H", "H", "H", "H", "C", "O", "C", "O", "O", "C", "H", "H", "H", "H", "H", "H", "C", "O", "C", "O", "O", "C", "H", "H", "H", "H", "H", "H", "C", "O", "C", "O", "O", "C", "H", "H", "H", "H", "H", "H", "C", "O", "C", "O", "O", "C", "H", "H", "H", "H", "H", "H"],
Each individual has a different and unique attitude to work, and a slightly different relationship with their job. Some people are totally career-driven, while others want something they can enjoy but put away at the end of the day. Moreover, most people’s attitude towards their work changes in line with other factors and events in their life, which is just one reason why it’s so rewarding and useful to stay in touch with candidates.
It’s never the same story twice, and I can’t get enough of it. For me, hearing all these different stories and ideas and the differing qualities people can bring to their jobs is something I never tire of.
My conversations with candidates that Friday made me think about the importance of conversation in the recruitment industry – which is why I set up my own brand in the first place.
January and February are hard months. Many people are feeling the pinch of Christmas and the short daylight hours and cold can take it out of you. It can be difficult to find the energy to push on in your career or find a new job. But the right conversation at the right time could change all of that. Despite the rise (and value) of social media and automation in recruitment and job-hunting, one of the best and most valuable tools you have at your disposal is the telephone.
In many ways, 1-1 Recruitment was founded because we understand the value of a good conversation in the recruitment process. That’s as true for jobseekers as it is for recruitment professionals. I’ve written before about how business owners create a brand because they have a particular set of values and they want to create a certain kind of company.
I founded 1-1 Recruitment to provide a better service to job seekers than I had seen in many companies in the past. I wanted to provide a supportive service in which job seekers felt looked after, cared for and listened to.
Conversations yield rewards
On a related note I was recently listening to Nick Grimshaw trying to run a competition on Radio 1 in which listeners had to be ready to answer the phone at eight o’clock in the morning, having already contacted the show to say they wanted to play. Even amongst these proactive participants, Grimmy wasn’t having much luck getting people to answer the phone. Changing social habits, long commutes and long working days mean that despite the universality of mobile phones, it’s not always easy to have a conversation with people. But it’s so rewarding – whether what comes out of it is a radio show competition prize or a fantastic new job.
Talking about the brand…
Last year, we talked a lot within our business. We talked about our brand and what it means to us, and above all what it should mean for our customers (candidates and clients). We discussed whether we were doing our best to ensure we deliver our brand values in the way we do our business every day. Brand is not some lofty idea – it’s about how you deliver a service, day in day out, on the ground.
It’s about how you answer the phone, the impression you leave somebody with at the end of a call, and whether they look forward to working with you or not. As a business owner I believe in the value of talking about the brand, because it’s when they discuss it that the team really starts to engage with it. Many of the best companies I can think of are very proactive about their brand and take every opportunity to think about what it means.
As I write this I’m planning another brand workshop for the 1-1 Recruitment team. And after our branding meeting, we’re going to go out and have some fun, because that’s also important!
It might not seem a very lofty ambition to continue to ensure our brand is really lived across the business this year, but I don’t think there’s a better one for a service business to have.
In conclusion…
1-1 Recruitment is a people business, and we know from vast collective experience that it’s good to talk about your ambitions and career challenges with someone who understands, can listen and, if you want it, provide sage advice.
I’m proud of the team we have here, so if you want to discuss your career ambitions with us, please do pick up the phone. We’re fascinated by our candidates’ individual stories and we love to help. We’re only a phone call away. Try us.
Basingstoke 01256 336 100
Winchester 01962 865 152